_Brief_
Could you set down all of the lines underneath without additions?

_Listing_
# 1
First-principles (GGA-PBE) data for a geometry-optimized Ce3PmS4 structure, as listed in Alexandria.

Unit cell a=5.6779 b=5.6779 c=5.6779 alpha=90.00 beta=90.00 gamma=90.00
Space group Pm-3m (No. 221)
Unique sites:
Ce 0.0000 0.0000 0.5000 [3 per cell]
Pm 0.5000 0.5000 0.5000 [1 per cell]
S 0.0000 0.0000 0.0000 [1 per cell]
S 0.0000 0.5000 0.5000 [3 per cell]

***

# 2
First-principles (GGA-PBE) data for a geometry-optimized CePmS2 structure, as listed in Alexandria.

Unit cell a=4.0295 b=4.0295 c=19.7575 alpha=90.00 beta=90.00 gamma=120.00
Space group R-3m (No. 166, hexagonal axes)
Unique sites:
Ce 0.0000 0.0000 0.0000 [3 per cell]
Pm 0.0000 0.0000 0.5000 [3 per cell]
S 0.0000 0.0000 0.2500 [6 per cell]

***

# 3
First-principles (GGA-PBE) data for a geometry-optimized CePmS3 structure, as listed in Alexandria.

Unit cell a=7.4784 b=4.0268 c=15.4886 alpha=90.00 beta=90.00 gamma=90.00
Space group Pnma (No. 62)
Unique sites:
Ce 0.1382 0.2500 0.2061 [4 per cell]
Pm 0.2366 0.7500 0.4564 [4 per cell]
S 0.0096 0.2500 0.3917 [4 per cell]
S 0.1254 0.7500 0.0686 [4 per cell]
S 0.1482 0.2500 0.7798 [4 per cell]

***

Number 1: formation energy from raw total energies -2.05 eV/atom. Number 2: formation energy from raw total energies -2.04 eV/atom. Number 3: formation energy from raw total energies -2.05 eV/atom.

~~~~~

Density functional theory data (PBE) for an optimized crystal structure of AlSb2TeO.

Results
mass density	6.032	g/cm3
crystal system	tetragonal
total moment	0.0	μB per cell
V	22.8	Å³ per atom
energy	-3.898	eV/atom

Structure (CIF):
```
data_AlSb2TeO
_chemical_formula_sum 'Al1 Sb2 Te1 O1'
_space_group_name_H-M_alt 'P 4/m m m'
_space_group_IT_number 123
_space_group_name_Hall '-P 4 2'
_cell_length_a 4.614
_cell_length_b 4.614
_cell_length_c 5.354
_cell_angle_alpha 90.00
_cell_angle_beta 90.00
_cell_angle_gamma 90.00
loop_
_atom_site_label
_atom_site_fract_x
_atom_site_fract_y
_atom_site_fract_z
Al1 0.000 0.000 0.000
Sb1 0.000 0.500 0.500
Te1 0.500 0.500 0.000
O1 0.500 0.500 0.500
```

=====

Density functional theory data (PBE) for an optimized crystal structure of TmAl2SbO8.

Results
mass density	5.427	g/cm3
crystal system	tetragonal
total moment	4.1	μB per cell
V	12.1	Å³ per atom
energy	-6.723	eV/atom

Structure (CIF):
```
data_TmAl2SbO8
_chemical_formula_sum 'Tm2 Al4 Sb2 O16'
_space_group_name_H-M_alt 'I -4 m 2'
_space_group_IT_number 119
_space_group_name_Hall 'I -4 -2'
_cell_length_a 6.705
_cell_length_b 6.705
_cell_length_c 6.434
_cell_angle_alpha 90.00
_cell_angle_beta 90.00
_cell_angle_gamma 90.00
loop_
_atom_site_label
_atom_site_fract_x
_atom_site_fract_y
_atom_site_fract_z
Tm1 0.000 0.000 0.000
Al1 0.000 0.000 0.500
Al2 0.000 0.500 0.250
Sb1 0.000 0.500 0.750
O1 0.000 0.199 0.684
O2 0.000 0.322 0.051
```

~~~~~

The following is a PBE-GGA calculation of a geometry-optimized BaScTa structure, from Alexandria.

Computed properties:
The value obtained for the energy relative to the elements is 1362 meV per atom. The space group is F-43m, No. 216. The calculation puts the excess energy over the best structure of this formula in the dataset at 766 meV/atom. Its crystal system is cubic.

Cell lengths 5.1498, 5.1498, 5.1498 Å; angles 60.00, 60.00, 60.00 degrees
Closest atoms and distances in Å follow each position.
Fractional positions:
Ba  0.0000  0.0000  0.0000  4 Ta 3.15
Sc  0.5000  0.5000  0.5000  4 Ta 3.15
Ta  0.7500  0.7500  0.7500  4 Ba 3.15, 4 Sc 3.15



The following is a PBE-GGA calculation of a geometry-optimized GaFeIBr2 structure, from Alexandria.

Computed properties:
The raw formation energy is 0.51 eV/atom. The space group is P4/mmm, No. 123. Its crystal system is tetragonal.

Cell lengths 6.6771, 6.6771, 4.7662 Å; angles 90.00, 90.00, 90.00 degrees
Closest atoms and distances in Å follow each position.
Fractional positions:
Ga  0.0000  0.0000  0.0000  8 Br 4.10
Fe  0.5000  0.5000  0.0000  2 I 2.38
I  0.5000  0.5000  0.5000  2 Fe 2.38
Br  0.0000  0.5000  0.5000  2 I 3.34

_Response_
# 1
First-principles (GGA-PBE) data for a geometry-optimized Ce3PmS4 structure, as listed in Alexandria.

Unit cell a=5.6779 b=5.6779 c=5.6779 alpha=90.00 beta=90.00 gamma=90.00
Space group Pm-3m (No. 221)
Unique sites:
Ce 0.0000 0.0000 0.5000 [3 per cell]
Pm 0.5000 0.5000 0.5000 [1 per cell]
S 0.0000 0.0000 0.0000 [1 per cell]
S 0.0000 0.5000 0.5000 [3 per cell]

***

# 2
First-principles (GGA-PBE) data for a geometry-optimized CePmS2 structure, as listed in Alexandria.

Unit cell a=4.0295 b=4.0295 c=19.7575 alpha=90.00 beta=90.00 gamma=120.00
Space group R-3m (No. 166, hexagonal axes)
Unique sites:
Ce 0.0000 0.0000 0.0000 [3 per cell]
Pm 0.0000 0.0000 0.5000 [3 per cell]
S 0.0000 0.0000 0.2500 [6 per cell]

***

# 3
First-principles (GGA-PBE) data for a geometry-optimized CePmS3 structure, as listed in Alexandria.

Unit cell a=7.4784 b=4.0268 c=15.4886 alpha=90.00 beta=90.00 gamma=90.00
Space group Pnma (No. 62)
Unique sites:
Ce 0.1382 0.2500 0.2061 [4 per cell]
Pm 0.2366 0.7500 0.4564 [4 per cell]
S 0.0096 0.2500 0.3917 [4 per cell]
S 0.1254 0.7500 0.0686 [4 per cell]
S 0.1482 0.2500 0.7798 [4 per cell]

***

Number 1: formation energy from raw total energies -2.05 eV/atom. Number 2: formation energy from raw total energies -2.04 eV/atom. Number 3: formation energy from raw total energies -2.05 eV/atom.

~~~~~

Density functional theory data (PBE) for an optimized crystal structure of AlSb2TeO.

Results
mass density	6.032	g/cm3
crystal system	tetragonal
total moment	0.0	μB per cell
V	22.8	Å³ per atom
energy	-3.898	eV/atom

Structure (CIF):
```
data_AlSb2TeO
_chemical_formula_sum 'Al1 Sb2 Te1 O1'
_space_group_name_H-M_alt 'P 4/m m m'
_space_group_IT_number 123
_space_group_name_Hall '-P 4 2'
_cell_length_a 4.614
_cell_length_b 4.614
_cell_length_c 5.354
_cell_angle_alpha 90.00
_cell_angle_beta 90.00
_cell_angle_gamma 90.00
loop_
_atom_site_label
_atom_site_fract_x
_atom_site_fract_y
_atom_site_fract_z
Al1 0.000 0.000 0.000
Sb1 0.000 0.500 0.500
Te1 0.500 0.500 0.000
O1 0.500 0.500 0.500
```

=====

Density functional theory data (PBE) for an optimized crystal structure of TmAl2SbO8.

Results
mass density	5.427	g/cm3
crystal system	tetragonal
total moment	4.1	μB per cell
V	12.1	Å³ per atom
energy	-6.723	eV/atom

Structure (CIF):
```
data_TmAl2SbO8
_chemical_formula_sum 'Tm2 Al4 Sb2 O16'
_space_group_name_H-M_alt 'I -4 m 2'
_space_group_IT_number 119
_space_group_name_Hall 'I -4 -2'
_cell_length_a 6.705
_cell_length_b 6.705
_cell_length_c 6.434
_cell_angle_alpha 90.00
_cell_angle_beta 90.00
_cell_angle_gamma 90.00
loop_
_atom_site_label
_atom_site_fract_x
_atom_site_fract_y
_atom_site_fract_z
Tm1 0.000 0.000 0.000
Al1 0.000 0.000 0.500
Al2 0.000 0.500 0.250
Sb1 0.000 0.500 0.750
O1 0.000 0.199 0.684
O2 0.000 0.322 0.051
```

~~~~~

The following is a PBE-GGA calculation of a geometry-optimized BaScTa structure, from Alexandria.

Computed properties:
The value obtained for the energy relative to the elements is 1362 meV per atom. The space group is F-43m, No. 216. The calculation puts the excess energy over the best structure of this formula in the dataset at 766 meV/atom. Its crystal system is cubic.

Cell lengths 5.1498, 5.1498, 5.1498 Å; angles 60.00, 60.00, 60.00 degrees
Closest atoms and distances in Å follow each position.
Fractional positions:
Ba  0.0000  0.0000  0.0000  4 Ta 3.15
Sc  0.5000  0.5000  0.5000  4 Ta 3.15
Ta  0.7500  0.7500  0.7500  4 Ba 3.15, 4 Sc 3.15



The following is a PBE-GGA calculation of a geometry-optimized GaFeIBr2 structure, from Alexandria.

Computed properties:
The raw formation energy is 0.51 eV/atom. The space group is P4/mmm, No. 123. Its crystal system is tetragonal.

Cell lengths 6.6771, 6.6771, 4.7662 Å; angles 90.00, 90.00, 90.00 degrees
Closest atoms and distances in Å follow each position.
Fractional positions:
Ga  0.0000  0.0000  0.0000  8 Br 4.10
Fe  0.5000  0.5000  0.0000  2 I 2.38
I  0.5000  0.5000  0.5000  2 Fe 2.38
Br  0.0000  0.5000  0.5000  2 I 3.34